There are times when plastic or cosmetic surgeries are necessary to a pet’s health and well-being. However there is no justification for putting a pet through a procedure that can be dangerous or life-threatening just to make that pet aesthetically pleasing to a person. Here is a list of some plastic surgery procedures.
**Inserted here: data records:**
~~~
Molecular formula: C13H13N3O2
Method: DFT, ωB97M-V with the def2-TZVPD basis set

Geometry as XYZ:
```
31
Properties=species:S:1:pos:R:3:forces:R:3:mulliken_charge:R:1
N 0.790991 -1.661372 0.711516 -0.081 -0.167 0.033 -0.382
C 1.866694 -1.305752 0.537660 -0.005 0.150 0.066 0.002
C 3.242827 -0.825453 0.349363 0.171 -0.114 0.124 0.323
O 3.800709 -1.288201 -0.860603 -0.176 0.026 0.018 -0.552
C 3.337960 0.718505 0.452015 0.028 0.286 -0.332 0.221
C 4.606865 1.136680 -0.165611 0.110 -0.284 0.112 -0.067
N 5.591746 1.459116 -0.656768 -0.017 0.102 0.042 -0.465
C 2.209183 1.515385 -0.237305 0.248 0.238 0.144 -0.974
C 0.879578 1.540414 0.509004 -0.100 -0.106 -0.037 -1.255
C -0.282552 1.062365 -0.348807 -0.160 0.382 -0.130 0.672
O -0.148073 0.636047 -1.466019 0.079 -0.254 -0.240 -0.606
N -1.525861 1.212548 0.250627 0.185 -0.642 0.620 -0.329
C -2.501158 0.178902 0.037988 -0.162 0.285 -0.289 0.340
C -2.762577 -0.750218 1.032412 -0.019 0.057 0.039 -0.286
C -3.711354 -1.737222 0.817915 0.013 -0.011 0.051 -0.658
C -4.384591 -1.811764 -0.391474 -0.041 -0.004 -0.027 -0.411
C -4.116540 -0.881196 -1.384644 0.091 0.095 -0.012 -0.593
C -3.184559 0.120309 -1.166511 0.141 0.029 -0.018 -0.122
H 3.812675 -1.249431 1.181645 0.136 0.004 -0.064 0.296
H 3.146586 -1.785549 -1.360585 -0.028 0.024 -0.066 0.360
H 3.413756 1.000607 1.504641 -0.180 -0.075 0.066 0.334
H 2.580097 2.534568 -0.337843 -0.018 0.024 -0.074 0.493
H 2.072439 1.140050 -1.249943 -0.091 -0.104 -0.027 0.420
H 0.899698 0.892173 1.387660 -0.021 0.064 0.052 0.544
H 0.631046 2.540170 0.868437 0.092 0.064 0.013 0.565
H -1.438270 1.424285 1.236017 -0.036 0.105 -0.019 0.350
H -2.218583 -0.710280 1.968239 0.025 -0.008 0.007 0.303
H -3.909924 -2.455719 1.600888 -0.029 -0.049 0.002 0.348
H -5.114969 -2.591353 -0.556796 -0.027 -0.022 -0.011 0.377
H -4.624925 -0.914111 -2.337861 -0.089 -0.095 -0.001 0.360
H -2.958903 0.855505 -1.925266 -0.036 -0.003 -0.044 0.391
```
Forces are in eV/Å.

Energy   -817.91194 a.u.
Energy above the lowest of the compared OMol25 structures with the same formula, charge and spin   23.2 kcal/mol
Strongest force on any atom   0.9 eV/A
SMILES   N#C[C@@H](O)[C@@H](C#N)CCC(=O)Nc1ccccc1
Gap between HOMO and LUMO   9.503 eV
Spin multiplicity   1

=====

Molecular formula: C13H14BFINO3
Method: DFT, ωB97M-V with the def2-TZVPD basis set

Geometry as XYZ:
```
34
Properties=species:S:1:pos:R:3:forces:R:3:mulliken_charge:R:1
C -1.506800 2.393844 1.547326 0.885 -0.204 0.031 -0.873
B -0.439418 1.517639 0.698991 -0.938 1.342 -0.099 0.417
O 0.254137 2.238533 -0.308258 0.246 -0.849 1.706 -0.579
C -0.205415 -0.037584 1.066828 -0.689 -1.397 0.173 0.849
C 1.020837 -0.149593 2.073185 -0.261 -0.853 0.608 -0.576
C 0.890273 0.716538 3.367266 0.551 0.682 -0.454 -0.324
O 1.259232 1.843541 3.463988 -0.167 -0.636 -0.462 -0.431
I 0.025175 -0.129020 5.200616 0.137 -0.175 -0.552 0.019
C -1.457016 -0.783155 1.698592 0.167 -0.744 2.262 0.321
F -2.738084 -0.386526 1.232204 1.356 -0.306 -0.329 -0.362
~~~
Tail docking is done when a puppy is 2-10 days old, usually without anesthesia. Puppies undergoing the procedure cry loudly, but advocates insist there is no pain. However this has been proven to be untrue. These same advocates claim that docking the tails of sporting dogs prevents tail injury. However, there are many sporting breeds that don’t have their tails docked and non-sporting breeds whose tails are docked. This makes the argument for docking tails invalid.
Ear Cropping is done to a 8-10 week old puppy. It was originally practiced to prevent fighting dogs from attacking the ears of the opponent. Though general anesthesia is used to perform the surgery, there is post-operative pain. The excuse advocates use for cropping is that it helps prevent ear infection. This has been scientifically disproved.
Both tail docking and ear cropping have been banned in many countries. But the U.S. continues to allow the procedures. There are many vets who will not perform the surgeries considering them inhumane treatment.
Breast Reduction – After pregnancy, dogs and cats that are overbred are often left with sagging folds of skin around the mammary glands, sometimes even touching the ground. This surgery has been performed on rescue dogs making them more attractive for adoption. When the sagging skin poses physical problems for the animal, this is a corrective surgery.
Testicular Implants – Because many people dislike the look of their dog after neutering, the dog remains intact. In 1993, a project called Canine Testicular Implantation developed testicular implants called Neuticles for dogs. The first commercial implantation took place in 1995. Since then, thousands of animals besides dogs – cats, horses, bulls – have undergone the procedure. There are three models and five sizes for cats and dogs. available and approved by the FDA. So far there have been no complications reported with the implants which are made from solid silicone.
My first reaction to Neuticles was unfavorable – how can someone put their pet through such a procedure for looks alone. However, if it encourages people to neuter their pets and help solve animal overpopulation, then I would have to support it.
Declawing cats is a surgical procedure where the front toes are amputated at the first joint. It is a practice used to prevent cats from clawing household items such as curtains and furniture, etc. The cat experiences excruciating pain and is left defenseless. This surgery can also cause physical and behavioral problems. With patience a cat can be trained to use a scratching post as well as other deterrents to save possessions. Please see our articles on Declawing and alternatives.
Debarking is a surgical procedure known also as vocal cordectomy. The surgery requires the removal of laryngeal tissue from the vocal chords which reduces considerably the sounds the dog makes. Barking is a necessary means of communication. Excessive barking can be controlled with training. The United Kingdom has outlawed this procedure.
Gum disease is very common in cats and dogs. Root Canals are now being performed to save their teeth from extraction. Other defects in the mouth, usually congenital and often painful for the animal, are corrected with braces, retainers, tooth extraction and elastics.
Eye problems can be classified as congenital, trauma, inflammatory, immune related and tumors. Most often, treated with surgery and/or medication, the problem is resolved. However, there are times when the eye must be removed. There are now Implants available to replace the lost eye for both cats and dogs.
Face Lifts – Some dogs have natural wrinkles and folds in their skin. Sometimes these wrinkles and folds are very numerous and cause problems like infections. Facial folds can cause eyes problems as well. Corrective surgery decreases the folds and wrinkles and will correct these problems.
Dewclaw Removal – Some dogs are born with dewclaws on both front and back legs, but most have them only on front legs. Dogs live absolutely normal lives with their dewclaws intact. But there are times when removal is necessary. If they are not properly attached, become infected, broken or irritated, nails that may be ingrown, interfere with a dog’s gait, then removal my be recommended. Before letting your dog undergo this post-op painful surgery, try keeping the nails trimmed as short as possible.
Fat Removal and Liposuction for pets is a trend that began in Los Angeles, CA. It is also known as kittyplasty or doggyplasty. There have been accusations that this surgery may cause post-op uncontrollable aggression and pets mutilating themselves, biting stitches and scars sometimes with fatal results. PETA is totally opposed to this surgery and suggests pets commit suicide post-op. A well-known animalplasty surgeon, Dr. Karnell, has stated that the “accusations are ridiculous and demented.” Some celebrities that have put their pets through this procedure include Paris Hilton, Elton John and Mike Tyson. Perhaps their money would be better spent donating to pet rescue organizations.
Personally, I feel that if your pet is overweight, FEED LESS and EXERCISE MORE.
The ASPCA is investigating further to determine if these procedures fall into the category of animal cruelty.
In my opinion, plastic surgery should only be a last resort and only when the health and well-being of a pet is threatened.
The Humane Society opposes any procedure done for cosmetic purposes.
The ASPCA’s position on declawing cats – only if the health and safety of the guardian is at risk as in the case of individuals with compromised immune systems or illnesses that cause them to be unusually susceptible to serious infections.
How do you feel about cosmetic surgery for pets? We’re interested in your opinion.